'''
Material: YPNO2
Method: DFT, PBE
State: relaxed

a = 3.7445 Å, b = 3.7445 Å, c = 3.7451 Å
α = 90.00°, β = 90.00°, γ = 90.00°
With the nearest neighbours (Å) after each atom.
Atoms (fractional coordinates):
O 0.5000 0.0000 0.0000  2 P 1.87
O 0.0000 0.5000 0.0000  2 P 1.87
P 0.0000 0.0000 0.0000  4 O 1.87, 2 N 1.87
N 0.0000 0.0000 0.5000  2 P 1.87
Y 0.5000 0.5000 0.5000  4 N 2.65, 8 O 2.65

Summary:
The uncorrected formation energy comes out at -1438 meV/atom. The total DFT energy (no corrections) comes out at -37.3 eV/cell. The calculation puts the spin magnetization at 0.000 μB/atom.



Material: MgCo2HPt
Method: DFT, PBE
State: relaxed

a = 3.6622 Å, b = 3.6622 Å, c = 4.1223 Å
α = 90.00°, β = 90.00°, γ = 90.00°
With the nearest neighbours (Å) after each atom.
Atoms (fractional coordinates):
Co 0.5000 0.0000 0.0000  2 H 1.83
Co 0.0000 0.5000 0.0000  2 H 1.83
H 0.0000 0.0000 0.0000  4 Co 1.83
Mg 0.0000 0.0000 0.5000  2 H 2.06
Pt 0.5000 0.5000 0.5000  4 Mg 2.59, 8 Co 2.76

Summary:
The total DFT energy (no corrections) comes out at -25.9 eV/cell. The calculation puts the spin magnetization at 0.556 μB/atom. For the energy above the most stable polymorph in this dataset, the calculation gives 0.000 eV/atom.



Material: LiReSb2
Method: DFT, PBE
State: relaxed

a = 4.6998 Å, b = 4.6998 Å, c = 4.6998 Å
α = 60.00°, β = 60.00°, γ = 60.00°
With the nearest neighbours (Å) after each atom.
Atoms (fractional coordinates):
Re 0.5000 0.5000 0.5000  8 Sb 2.88
Sb 0.7500 0.7500 0.7500  4 Re 2.88, 4 Li 2.88
Sb 0.2500 0.2500 0.2500  4 Re 2.88, 4 Li 2.88
Li 0.0000 0.0000 0.0000  8 Sb 2.88

Summary:
The uncorrected formation energy comes out at 140 meV/atom. The total DFT energy (no corrections) comes out at -22.0 eV/cell. The calculation puts the spin magnetization at 0.000 μB/atom. For the energy above the most stable polymorph in this dataset, the calculation gives 0.103 eV/atom.



Material: Tb2Sm6In
Method: DFT, PBE
State: relaxed

a = 8.6876 Å, b = 8.6876 Å, c = 9.1901 Å
α = 81.56°, β = 81.56°, γ = 60.02°
With the nearest neighbours (Å) after each atom.
Atoms (fractional coordinates):
Sm 0.3292 0.4415 0.3332  5 Sm 3.31-3.71, 1 In 3.31, 3 Tb 3.47-3.51
Sm 0.5585 0.6708 0.1668  5 Sm 3.31-3.71, 1 In 3.31, 3 Tb 3.47-3.51
Sm 0.6708 0.5585 0.6668  5 Sm 3.31-3.71, 1 In 3.31, 3 Tb 3.47-3.51
Sm 0.3734 0.9069 0.4730  5 Sm 3.31-3.68, 1 In 3.33, 2 Tb 3.33-3.46
Sm 0.6266 0.0931 0.5270  5 Sm 3.31-3.68, 1 In 3.33, 2 Tb 3.33-3.46
Sm 0.4415 0.3292 0.8332  5 Sm 3.31-3.71, 1 In 3.31, 3 Tb 3.47-3.51
Sm 0.2754 0.8940 0.8772  2 In 3.29-3.50, 3 Sm 3.45-3.68, 3 Tb 3.54-3.58
Sm 0.7246 0.1060 0.1228  2 In 3.29-3.50, 3 Sm 3.45-3.68, 3 Tb 3.54-3.58
Sm 0.0931 0.6266 0.0270  5 Sm 3.31-3.68, 1 In 3.33, 2 Tb 3.33-3.46
Sm 0.9069 0.3734 0.9730  5 Sm 3.31-3.68, 1 In 3.33, 2 Tb 3.33-3.46
Sm 0.8940 0.2754 0.3772  2 In 3.29-3.50, 3 Sm 3.45-3.68, 3 Tb 3.54-3.58
Sm 0.1060 0.7246 0.6228  2 In 3.29-3.50, 3 Sm 3.45-3.68, 3 Tb 3.54-3.58
Tb 0.3004 0.1367 0.1428  1 In 3.29, 8 Sm 3.33-3.58
Tb 0.6996 0.8633 0.8572  1 In 3.29, 8 Sm 3.33-3.58
Tb 0.1367 0.3004 0.6428  1 In 3.29, 8 Sm 3.33-3.58
Tb 0.8633 0.6996 0.3572  1 In 3.29, 8 Sm 3.33-3.58
In 0.8787 0.1213 0.7500  2 Tb 3.29, 8 Sm 3.29-3.50
In 0.1213 0.8787 0.2500  2 Tb 3.29, 8 Sm 3.29-3.50

Summary:
The total DFT energy (no corrections) comes out at -80.0 eV/cell. The value obtained for the formation energy from the elements is 30 kJ/mol of formula units. The calculation puts the spin magnetization at 0.000 μB/atom. For the energy above the most stable polymorph in this dataset, the calculation gives 0.104 eV/atom.



Material: ZnAg4P
Method: DFT, PBE
State: relaxed

a = 5.4428 Å, b = 5.4428 Å, c = 5.4428 Å
α = 60.00°, β = 60.00°, γ = 60.00°
With the nearest neighbours (Å) after each atom.
Atoms (fractional coordinates):
Ag 0.8757 0.3748 0.3748  6 Ag 2.72-2.73
Ag 0.3748 0.8757 0.3748  6 Ag 2.72-2.73
Ag 0.3748 0.3748 0.8757  6 Ag 2.72-2.73
Ag 0.3748 0.3748 0.3748  6 Ag 2.72-2.73
P 0.7500 0.7500 0.7500  12 Ag 3.19, 4 Zn 3.33
'''

It remains to filter the contents further up: keep the lines with the word "value".

The total DFT energy (no corrections) comes out at -80.0 eV/cell. The value obtained for the formation energy from the elements is 30 kJ/mol of formula units. The calculation puts the spin magnetization at 0.000 μB/atom. For the energy above the most stable polymorph in this dataset, the calculation gives 0.104 eV/atom.